The perfect solution to bad breath! Quick and easy!

Since childhood we have been taught to maintain proper oral hygiene, to keep our teeth healthy, and avoid bad breath, after all, it is not something that a person can hide easily. Bad breath or also known as halitosis is quite common, there is no person who throughout his life has not presented bad breath as a natural process of the body, especially when you are in adulthood. Normally, we have noticed the smell of our breath and realize that this is not as pleasant as we thought, and that, despite maintaining proper hygiene, we can have a strong breath and feel a little unpleasant.

The appearance of this stench can sometimes be related to certain types of food we consume, such as coffee, onion, or garlic, which are strongly flavored foods that will inevitably change the smell of your breath, however, in many cases, this bad breath is linked to oral problems that under the hands of a professional should be diagnosed.

Surely it has happened to us that we are afraid to approach to have a conversation with a person for fear that this person may notice that we have bad breath, or maybe you did not notice it but you saw that expression of displeasure on the part of the other person. These are things that can make us feel very insecure about ourselves, so we want you to know the causes of bad breath and what are those possible solutions.

Don’t let this ruin your daily routine and the possibility of living with other people, learn today about bad breath and how to keep it at bay.

Causes of bad breath:

Lack of dental hygiene

Bad breath will be present in our lives if we do not have good oral health, this happens when plaque begins to accumulate around the teeth, which undoubtedly is one of the causes for bad breath. What happens inside your mouth is a process in which bacteria decompose the remaining food in your mouth to generate an unpleasant smelling gas that translates as bad breath.

The solution for this unpleasant situation is simple, you should brush your teeth at least twice a day, the toothpaste should contain fluoride and you should also complement the brushing with dental floss and mouthwash, all this will allow you to remove all those residues accumulated in your mouth. Always make sure to wash all those areas that are difficult to access.

Periodontal diseases

Among the periodontal diseases, there are two that are also quite common, periodontitis and gingivitis. These two diseases can undoubtedly have a very aggressive influence on the state of your breath, causing serious problems as well as other types of complications. 

Dental abscesses

Dental abscesses are formed by an accumulation of pus, which is the result of an infection. Generally, they are generated by cavities, cavities are lesions that weaken and progressively destroy the teeth, this is produced by the action of bacterial plaque, some kind of trauma, either produced by a blow or an accident, or periodontal disease.


When xerostomia is present, the saliva levels become scarce producing dryness in the mouth. This pathology results in an increase of bacteria in the mouth.

Bad habits and bad eating habits

As we have already mentioned on previous occasions, the type of food we eat can become a fundamental factor in the appearance of bad breath. If you are a fan of eating foods with strong flavors and odors, such as spices, garlic, onions, some types of wine, coffee, chocolate, basil, beer, among others. All these foods and products increase the possibility of suffering from halitosis, especially when large amounts of coffee or alcohol are consumed, these are generators of unpleasant breath.

Nor can we continue with bad habits such as smoking. This not only produces unpleasant odors in the mouth but also creates stains on the teeth, these being the least of the problems that can occur in the health of the person.

Reducing the consumption of all these foods and eliminating these bad habits, along with good oral hygiene will be the solution to avoid bad breath and not only that, but you will also avoid complications in your teeth.

Enjoy the things you like in a controlled way, remember that excesses are bad and it is not necessary to reach an oral problem to take positive actions in your health.

Sugar, something we all like to consume, is present in almost everything we eat, from our favorite candy, desserts, dishes, juices, and others. What we often forget are the consequences of this, for starters, sugar maintains a relationship with the bacteria found in our mouth and this ends up becoming an unpleasant breath, with a bad odor.

On the other hand, there are diets with a low carbohydrate intake. Many people tremble when they hear the word carbohydrates because it is associated with weight gain. The truth is that consuming carbohydrates in moderate amounts fulfills vital functions in our body. Drastically decreasing the number of carbohydrates we consume can cause an imbalance in the functioning of the metabolism and this may be one of the reasons why bad breath occurs.

To avoid halitosis or any other health problem, you can contact a nutritionist, who will be in charge of guiding you to eat well, so that you have better nutrition and balance in your life.

Other causes generate bad breath. Consuming some groups of medications, gastrointestinal problems or dry mouth are more reasons that add to this uncomfortable situation.

When you want to lead a comfortable life and be at peace with yourself, taking care of yourself is the most important thing and with this, we are not only referring to our general health but also our mouth, in the end, it is not just something aesthetic, this also affects our health. We have made this clear in all the information we are providing you with.

Extraoral causes of bad breath.

We can not let all the blame fall only on our mouth, there are several other reasons why our breath is affected.

Digestive tract problems.

Intestinal problems or stomach infections can also affect the state of our breath and produce halitosis.

Systemic diseases.

(Quantum chemistry results that have nothing to do with the text)
____________
*P*
# C2H5BrI2OSi

C2H5BrI2OSi in the gas phase (the ωB97M-V functional and the def2-TZVPD basis, the OMol25 dataset).

Last columns: bonded neighbours and bond lengths (Å).
Geometry (Å):
1 C 1.5233 0.5065 0.6312  C2 1.545, H8 1.148, H9 1.045, H10 1.134
2 C 0.9604 -0.4162 -0.4729  C1 1.545, O3 1.416, H11 1.187, H12 1.225
3 O -0.3137 -0.0824 -0.9916  C2 1.416, Si4 1.746
4 Si -1.9036 -0.0076 -0.2731  O3 1.746, Br5 2.217, I6 2.483, I7 2.432
5 Br -3.3011 0.0314 -1.9935  Si4 2.217
6 I -2.3112 -2.0005 1.1502  Si4 2.483
7 I -2.1264 1.9712 1.1235  Si4 2.432
8 H 1.9221 1.4561 0.1242  C1 1.148
9 H 0.6876 0.6507 1.2421  C1 1.045
10 H 2.2986 -0.2043 1.0543  C1 1.134
11 H 0.8544 -1.5550 -0.1540  C2 1.187
12 H 1.7095 -0.3500 -1.4403  C2 1.225

- SMILES: CCO[Si](Br)(I)I
- LUMO energy: -0.41 eV
- HOMO-LUMO gap: 0.3464 hartree

Löwdin population analysis, charges in e, atoms 1 to 2: atom 1 (C): -0.0975, atom 2 (C): -0.3644

*Q*
# C2H5BrI2OSi

2 unconnected molecules or ions with the total composition C2H5BrI2OSi (the ωB97M-V functional and the def2-TZVPD basis, the OMol25 dataset).

Last columns: bonded neighbours and bond lengths (Å).
Geometry (Å):
1 C 1.5697 0.0181 0.3632  C2 1.530, H8 1.003, H9 1.129, H10 1.066
2 C 1.1030 -0.0352 -1.0933  C1 1.530, O3 1.371, H11 1.091, H12 1.103
3 O -0.0808 0.6311 -1.2790  C2 1.371
4 Si -2.2395 0.1008 0.4837  Br5 2.203, I6 2.346, I7 2.439
5 Br -2.2794 0.9346 2.5219  Si4 2.203
6 I -3.8102 0.9904 -1.0149  Si4 2.346
7 I -2.0625 -2.3312 0.5383  Si4 2.439
8 H 2.2534 -0.6387 0.6907  C1 1.003
9 H 1.8653 1.0543 0.6994  C1 1.129
10 H 0.7809 -0.0577 1.0767  C1 1.066
11 H 0.9334 -1.0763 -1.3723  C2 1.091
12 H 1.9666 0.4098 -1.6145  C2 1.103

- LUMO energy (spin up / spin down): -2.07 / -2.07 eV
- HOMO-LUMO gap (spin up / spin down): 0.2364 / 0.2363 hartree

Löwdin population analysis, charges in e, atoms 1 to 2: atom 1 (C): -0.1095, atom 2 (C): -0.4470

Most favorable structure: *P*. The second most favorable one is 90.9 kcal/mol above it.
____________
(Here the text continues)

There are diseases such as diabetes mellitus that as a consequence produce halitosis, some pulmonary, hepatic, or renal diseases.

Infections in the nose area

Rhinitis and sinusitis are other groups of diseases that end up generating this problem.

Medical diagnosis

If you are a person who does not have bad habits and you have good habits and you do not know why this unpleasant odor is still produced in your breath, you should come to our clinic so we can evaluate what is producing this halitosis.

Records of molecules from another source follow.
┌──
[1]
The following is a DFT calculation (the ωB97M-V functional and the def2-TZVPD basis) of a cluster of 2 separate species, C11H20S in total.

* E_LUMO: 0.0226 Eh
* gap between HOMO and LUMO: 8.16 eV
* highest occupied orbital energy: -7.55 eV
* multiplicity: 1

Each line ends with the natural charge from an NBO analysis.
Element x y z (Å)
C 0.61 2.84 -1.69  -0.7212
C -1.93 4.39 -1.21  -1.0019
C -1.45 0.17 1.03  0.0012
C -2.29 0.97 1.25  -0.2277
C -0.12 -2.67 -1.22  -0.4014
C 1.29 -2.78 -0.54  -0.4084
C -0.75 -1.28 -0.89  -0.3972
C 1.46 -2.38 0.94  -0.4117
C -0.67 -1.06 0.62  -0.2961
C 0.81 -1.00 1.13  -0.2059
C 0.83 -0.55 2.61  -0.6204
S -1.08 3.08 -0.65  0.6049
H 0.24 2.28 -2.49  0.2127
H 1.30 2.28 -1.12  0.2066
H -1.30 5.13 -1.61  0.1843
H -2.71 4.10 -2.04  0.2130
H 0.78 3.86 -1.76  0.2139
H -2.81 1.84 1.28  0.2203
H 0.01 -2.92 -2.31  0.2160
H -0.62 -3.61 -0.90  0.2016
H 1.74 -3.78 -0.77  0.2114
H 1.92 -2.21 -1.17  0.1942
H -0.04 -0.63 -1.26  0.1934
H -1.77 -1.00 -1.31  0.2298
H 1.14 -3.17 1.68  0.2097
H 2.56 -2.27 1.20  0.2150
H -1.05 -1.97 1.17  0.2273
H 1.45 -0.26 0.59  0.1989
H 0.38 -1.23 3.36  0.2158
H 0.47 0.53 2.80  0.2274
H 1.96 -0.36 2.85  0.2065
H -0.38 3.67 0.44  0.0879

[2]
The following is a DFT calculation (the ωB97M-V functional and the def2-TZVPD basis) of a cluster of 2 separate species, C11H21BS in total.

* E_LUMO: 0.0162 Eh
* gap between HOMO and LUMO: 8.16 eV
* highest occupied orbital energy: -7.72 eV
* multiplicity: 1

Each line ends with the natural charge from an NBO analysis.
Element x y z (Å)
B 0.55 0.43 -0.39  1.2215
C 3.01 -1.01 0.18  -0.4176
C 0.46 -2.24 -0.95  -0.4064
C 2.04 -0.69 1.35  -0.3913
C 2.84 -0.36 -1.28  -0.3902
C -0.06 -1.74 0.38  -0.3819
C 0.45 -1.21 -2.09  -0.3969
C 0.64 -0.43 0.83  -0.8393
C 1.38 0.03 -1.67  -0.7619
C -3.53 3.15 0.59  -0.6241
C -2.81 0.93 1.30  -0.6046
C -2.31 2.30 0.76  -0.3334
S -1.32 2.36 -0.78  -0.2152
H 4.06 -0.72 0.44  0.2144
H 3.14 -2.05 -0.01  0.1988
H 1.36 -2.62 -0.78  0.1949
H -0.13 -3.19 -1.27  0.2151
H 1.95 -1.58 2.03  0.2146
H 2.41 0.22 1.90  0.2221
H 3.44 0.57 -1.21  0.2114
H 3.33 -1.05 -1.98  0.2142
H -1.16 -1.57 0.28  0.2280
H 0.29 -2.43 1.18  0.2180
H 0.87 -1.67 -2.97  0.2236
H -0.59 -0.81 -2.31  0.2347
H -0.07 0.06 1.72  0.2528
H 1.41 0.83 -2.57  0.2574
H -4.26 3.11 1.44  0.2062
H -3.15 4.10 0.53  0.2134
H -3.93 2.77 -0.36  0.2179
H -3.55 0.45 0.63  0.2032
H -3.36 1.13 2.26  0.2053
H -1.99 0.28 1.41  0.1910
H -1.44 2.63 1.38  0.2043

[3]
The following is a DFT calculation (the ωB97M-V functional and the def2-TZVPD basis) of a structure of composition C11H21BiCl2NO.

* E_LUMO: 0.1027 Eh
* gap between HOMO and LUMO: 5.21 eV
* net charge: -1
* highest occupied orbital energy: -2.42 eV
* multiplicity: 1

Each line ends with the natural charge from an NBO analysis.
Element x y z (Å)
Bi 2.28 -0.44 -1.46  1.1878
Cl 0.63 -2.18 -0.83  -0.6274
Cl 2.24 1.35 0.28  -0.6491
C 3.79 -1.47 -0.43  -1.2664
H 4.49 -0.90 0.20  0.1926
H 3.77 -2.57 -0.41  0.1937
└──
The piece goes on.


If the reason why you are looking for answers to all this situation is that you have already started to present any of these symptoms, in City Dental Clinic we have health professionals who will evaluate your case and you will also get advice on how to care for and maintain proper hygiene of your teeth. You still have time to reverse what causes your insecurities and affects your daily life.

If the problem is caused by an excess of plaque on the teeth, we can recommend mouthwash or toothpaste with antibiotic agents. This will allow you to eliminate the excess of accumulated bacteria that are causing the appearance of plaque.

In the case of gum disease, such as periodontitis, a treatment will be applied to help reduce the accumulation of bacteria in the inflamed gums.

Dental cleanings are another great help to remove all the food residue that gradually accumulates and generates bacteria. When daily brushing is not enough, it is recommended to attend once or twice a complete dental cleaning, here at City Dental Clinic we will gladly assist you with excellent medical professionals who work every day to improve your quality of life.

Tips for bad breath:

We want to leave you with a series of tips so you can keep better control over your breath and so you don’t have to go through embarrassing situations that put your integrity and above all your health at risk.

Maintain your daily dental care routine

We have repeated this advice in different moments and we want to explain the importance of it because as we already mentioned one of the most serious factors that generate halitosis is the excess of bacteria that are generated in our mouth, these bacteria accumulate on our tongue, gums, inner cheeks, palate, teeth and all those places where many times we can not access with the toothbrush. That is why it is important to brush your teeth at least twice a day for two minutes and apply dental floss to reach those difficult areas, in addition to a mouthwash. These three elements will allow you to have better control over the state of your mouth and avoid bad odors. In addition to taking care of your health.

Mouthwash plays several roles, besides providing a pleasant smell to our breath, it protects your mouth by getting rid of bacteria. There are many types of mouthwash and each one fulfills a purpose, in your case use those that help eliminate germs that generate bad breath.

Teeth are not the only ones that should be brushed, our tongue also accumulates bacteria and teeth are only a small percentage of oral hygiene, you should brush your tongue gently with your toothbrush. In the modern market, different toothbrushes can help you perform this task more efficiently and without causing damage. With these, you will be able to eliminate those bacteria, remove the debris and peel off the dead cells.

Try natural remedies

You can help yourself during the day with some mints or rinses to help you keep your breath in check. We know you won’t always be at home or have a toothbrush handy, so these can help a little.

Likewise, there are more natural methods to help fight bad breath. You can find herbs such as cloves, mint, fennel, tea tree, sage that are effective in these cases. These infusions can help fight the excess of bacteria that are generated in our mouths.

# Calculated molecules, as found in the file
(1)
C2H4F2N | wB97M-V/def2-TZVPD

```
9
Properties=species:S:1:pos:R:3:forces:R:3
C -0.7675 -0.4998 -0.3390 -1.283 -0.397 2.561
C 0.7520 -0.3911 -0.1778 3.211 -2.538 -0.398
N -0.0594 0.7072 0.0470 -0.016 2.772 3.621
F -0.0708 1.9153 -0.5023 0.084 -1.356 0.327
F 0.0648 1.0060 1.9104 -0.607 -0.651 -4.581
H -1.2828 -0.4607 -1.3091 0.267 0.039 0.434
H -1.2884 -0.9366 0.6050 0.614 0.595 -2.027
H 1.1548 -0.7504 0.8446 -0.607 0.311 -1.792
H 1.4973 -0.5898 -1.0787 -1.662 1.225 1.855
```
Forces are in eV/Å.

The relative energy (zero: lowest compared OMol25 entry of this formula, charge and spin) is 69.8 kcal per mole. As for the total energy: -332.5034 Eh. As for the total charge: +1. For the LUMO energy (alpha / beta), the calculation gives -9.336 / -9.334 eV.


(2)
C3H3IN2OS | wB97M-V/def2-TZVPD

```
11
Properties=species:S:1:pos:R:3:forces:R:3
C -1.2598 -0.8183 0.6700 0.408 3.831 2.537
C -1.1417 0.6294 1.0574 -2.525 -4.312 -0.992
C 0.5164 -0.2653 -0.5910 -0.831 -1.002 0.071
N -0.1512 -1.1976 -0.0025 0.938 -1.397 -1.947
N 1.5151 -0.5162 -1.5038 1.625 1.393 1.205
O 1.1069 1.9820 0.5527 1.991 1.497 1.029
S -0.0718 1.4521 -0.0816 -0.939 -1.826 -1.108
I -2.7756 1.7327 1.8233 0.575 -0.322 -0.140
H -1.9421 -1.7046 1.0035 0.930 2.357 -0.438
H 1.8951 -1.4820 -1.5214 -0.728 0.885 0.250
H 2.3087 0.1879 -1.4067 -1.444 -1.103 -0.467
```
Forces are in eV/Å.

The relative energy (zero: lowest compared OMol25 entry of this formula, charge and spin) is 45.0 kcal per mole. As for the total energy: -996.6441 Eh. For the LUMO energy (alpha / beta), the calculation gives -0.849 / -0.849 eV.


(3)
C4H9N3OS3 | wB97M-V/def2-TZVPD

```
20
Properties=species:S:1:pos:R:3:forces:R:3
H -1.8127 -1.5832 -2.7322 0.017 -0.021 0.057
N -2.1044 -1.7286 -1.7664 0.262 0.270 0.126
C -1.3804 -1.0381 -0.9885 -0.124 -0.095 -0.077
C -0.2072 -0.1305 -1.3518 -0.120 -0.067 -0.090
S 0.4375 -0.3208 -3.0301 -0.006 -0.030 0.124
N -1.6340 -1.0024 0.3784 -0.021 -0.176 0.006
S -2.9253 -1.8511 1.0813 0.107 0.092 -0.040
H -0.5378 0.9115 -1.2744 0.002 -0.120 -0.030
H 0.6059 -0.2545 -0.6293 -0.058 -0.254 -0.490
H 0.9848 -1.5350 -2.8541 -0.041 0.088 0.022
H -0.8468 -0.8317 0.9878 -0.232 -0.100 -0.030
H -2.6104 -3.0975 0.6750 0.027 0.045 0.000
O 3.0348 0.3259 0.1416 -0.182 0.179 0.205
C 2.5906 1.1616 0.8831 -0.014 -0.029 -0.011
N 1.2475 1.2236 1.2412 0.189 -0.068 0.084
C 0.7152 2.1569 2.0786 -0.182 0.164 0.176
S -0.8460 2.2520 2.5120 0.348 -0.083 -0.124
H 3.1932 1.9589 1.3549 -0.059 -0.111 -0.095
H 0.6320 0.5198 0.8447 0.178 0.391 0.247
H 1.4636 2.8631 2.4482 -0.093 -0.076 -0.061
```
Forces are in eV/Å.

Its SMILES is [H]/N=C(\CS)NS.O=CNC=S. As for the total energy: -1591.8553 Eh. For the LUMO energy, the calculation gives -0.508 eV.

~~~~~

(1)
A structure of composition C42H37F2N2O4Pd in a non-equilibrium geometry, computed with ωB97M-V/def2-TZVPD.

Element x y z (Å)
Pd1 1.85709 -0.46388 0.02378
F1 5.71752 3.18381 -0.06594
C1 5.44330 1.85726 -0.11476
C2 4.11324 1.52950 0.03185
C3 3.79230 0.19310 0.08277

Many times the lack of sync can be one of the reasons why bad breath is generated, for this, you can take some vitamins or prebiotics that can also help internally to eliminate the cause of bad breath, especially if you suffer from some deficiencies.

Hydrate yourself

We cannot forget to stay hydrated, especially because this is one of the reasons why halitosis occurs. Keeping our mouth chronically dry increases the risk. Drinking water helps us to increase our saliva production, which naturally rinses our mouth during the day and when we go to rest.

With all this information we hope you can better understand some of the reasons why you may suffer from bad breath. If you have tried everything and still can not find a solution, we will gladly work on your case so you can continue to lead a full and carefree life.

Tabela Përmbledhëse